**Contents:**
- - -
Theoretical PXRD pattern of Dy8Cu2Au for CuKα, from DFT lattice parameters and positions (PBE).
Neutral-atom scattering factors, no anomalous dispersion.

Atomic structure:
Lattice parameters (Å, degrees): 9.1555 9.1555 6.7848 106.12 106.12 32.16
Atoms (fractional coordinates):
Dy 0.0320 0.0320 0.2798
Dy 0.2007 0.2007 0.8355
Dy 0.3278 0.3278 0.5136
Dy 0.4070 0.4070 0.0385
Dy 0.5930 0.5930 0.9615
Dy 0.6722 0.6722 0.4864
Dy 0.7993 0.7993 0.1645
Dy 0.9680 0.9680 0.7202
Cu 0.1817 0.1817 0.2259
Cu 0.8183 0.8183 0.7741
Au 0.5000 0.5000 0.5000

Most intense lines, 10° ≤ 2θ ≤ 90°, sorted by position:
2θ = 29.65°, I 31; 2θ = 31.54°, I 74; 2θ = 31.86°, I 100; 2θ = 34.48°, I 36; 2θ = 35.39°, I 61; 2θ = 36.95°, I 20; 2θ = 61.79°, I 17; 2θ = 68.67°, I 24

=====

1.
Structure and theoretical X-ray diffraction stick pattern of Na8B13C3 (a DFT-relaxed cell (GGA-PBE, Alexandria); CuKα).

The 12 most intense peaks (2θ from 10° to 80°), sorted by position:
two_theta	d [Å]	I/Imax
34.13	2.627	11.7
35.75	2.512	18.5
40.21	2.243	52.5
41.63	2.170	100.0
41.98	2.152	37.1
56.29	1.634	10.2
62.15	1.494	18.3
65.25	1.430	8.1
75.71	1.256	8.6
76.45	1.246	12.7
77.84	1.227	17.3
79.49	1.206	10.6

Atomic structure:
```
Na8B13C3
1.0
9.0017 -1.4300 0.0000
9.0017 1.4300 0.0000
-3.0707 0.0000 10.0504
Na B C
8 13 3
direct
0.0000 0.0000 0.0000
0.2489 0.2489 0.1235
0.2505 0.2505 0.6255
0.4974 0.4974 0.7488
0.5001 0.5001 0.2489
0.7501 0.7501 0.8756
0.7510 0.7510 0.3750
0.9978 0.9978 0.4991
0.1243 0.1243 0.2276
0.1243 0.1243 0.3912
0.1249 0.1249 0.7449
0.3743 0.3743 0.0211
0.3743 0.3743 0.3466
0.3746 0.3746 0.5192
0.6240 0.6240 0.1341
0.6241 0.6241 0.9680
0.6245 0.6245 0.4878
0.6252 0.6252 0.6496
0.8741 0.8741 0.2510
0.8747 0.8747 0.6131
0.8748 0.8748 0.7889
0.1244 0.1244 0.8956
0.3749 0.3749 0.8619
0.8738 0.8738 0.0953
```


2.
Structure and theoretical X-ray diffraction stick pattern of ReC2 (a DFT-relaxed cell (GGA-PBE, Alexandria); CuKα).

The 12 most intense peaks (2θ from 10° to 80°), sorted by position:
two_theta	d [Å]	I/Imax
22.25	3.995	100.0
24.92	3.573	18.7
32.97	2.717	41.5
34.77	2.580	41.9
36.97	2.432	30.3
41.29	2.187	52.8
41.44	2.179	28.8
44.42	2.039	43.3
45.98	1.974	18.0
58.01	1.590	21.8
59.01	1.565	21.0
64.44	1.446	12.8

Atomic structure:
```
ReC2
1.0
5.2964 -1.4079 0.0000
5.2964 1.4079 0.0000
-0.9254 0.0000 3.9947
Re C
2 4
direct
0.0000 0.0000 0.0000
0.7476 0.7476 0.1405
0.1624 0.1624 0.4154
0.1656 0.1656 0.7643
0.4133 0.4133 0.2874
0.4437 0.4437 0.6341
```


3.
Structure and theoretical X-ray diffraction stick pattern of MnFeCo2H4 (a DFT-relaxed cell (GGA-PBE, Alexandria); CuKα).

The 6 most intense peaks (2θ from 10° to 80°), sorted by position:
two_theta	d [Å]	I/Imax
41.85	2.159	100.0
41.99	2.152	99.0
48.75	1.868	67.0
48.88	1.863	33.2
71.22	1.324	9.6
71.54	1.319	47.1

Atomic structure:
```
MnFeCo2H4
1.0
-2.6351 2.6481 3.7263
2.6351 -2.6481 3.7263
2.6351 2.6481 -3.7263
Mn Fe Co H
2 2 4 8
direct
0.0000 0.0000 0.0000
0.5000 0.0000 0.5000
0.5000 0.0000 0.0000
0.5000 0.5000 0.5000
0.0000 0.0000 0.5000
0.0000 0.5000 0.0000
0.0000 0.5000 0.5000
0.5000 0.5000 0.0000
0.2461 0.7478 0.4984
0.2495 0.2514 0.5019
0.2495 0.7475 0.9981
0.2506 0.2522 0.9984
0.7494 0.7478 0.0016
0.7505 0.2525 0.0019
0.7505 0.7486 0.4981
0.7539 0.2522 0.5016
```


4.
Structure and theoretical X-ray diffraction stick pattern of NpWN4 (a DFT-relaxed cell (GGA-PBE, Alexandria); CuKα).

The 12 most intense peaks (2θ from 10° to 80°), sorted by position:
two_theta	d [Å]	I/Imax
26.07	3.418	100.0
32.91	2.722	24.2
33.14	2.703	48.0
33.65	2.663	23.0
36.93	2.434	16.0
37.46	2.401	15.6
50.31	1.813	35.3
50.82	1.797	17.0
51.39	1.778	16.6
53.62	1.709	15.5
60.20	1.537	9.2
64.15	1.452	9.4

Atomic structure:
```
NpWN4
1.0
5.7370 0.0000 0.0000
0.0000 4.8678 0.0000
-2.1784 0.0000 5.4431
Np W N
2 2 8
direct
0.0000 0.0000 0.0000
0.0000 0.5000 0.5000
0.5000 0.0000 0.5000
0.5000 0.5000 0.0000
0.1667 0.1835 0.3681
0.1667 0.3165 0.8681
0.3610 0.7064 0.6796
0.3610 0.7936 0.1796
0.6390 0.2064 0.8204
- - -

**To do:**
The reader should transcribe the lines earlier on up to the one that holds "9.0017 -1.4300", that line included.

**Worked solution:**
Theoretical PXRD pattern of Dy8Cu2Au for CuKα, from DFT lattice parameters and positions (PBE).
Neutral-atom scattering factors, no anomalous dispersion.

Atomic structure:
Lattice parameters (Å, degrees): 9.1555 9.1555 6.7848 106.12 106.12 32.16
Atoms (fractional coordinates):
Dy 0.0320 0.0320 0.2798
Dy 0.2007 0.2007 0.8355
Dy 0.3278 0.3278 0.5136
Dy 0.4070 0.4070 0.0385
Dy 0.5930 0.5930 0.9615
Dy 0.6722 0.6722 0.4864
Dy 0.7993 0.7993 0.1645
Dy 0.9680 0.9680 0.7202
Cu 0.1817 0.1817 0.2259
Cu 0.8183 0.8183 0.7741
Au 0.5000 0.5000 0.5000

Most intense lines, 10° ≤ 2θ ≤ 90°, sorted by position:
2θ = 29.65°, I 31; 2θ = 31.54°, I 74; 2θ = 31.86°, I 100; 2θ = 34.48°, I 36; 2θ = 35.39°, I 61; 2θ = 36.95°, I 20; 2θ = 61.79°, I 17; 2θ = 68.67°, I 24

=====

1.
Structure and theoretical X-ray diffraction stick pattern of Na8B13C3 (a DFT-relaxed cell (GGA-PBE, Alexandria); CuKα).

The 12 most intense peaks (2θ from 10° to 80°), sorted by position:
two_theta	d [Å]	I/Imax
34.13	2.627	11.7
35.75	2.512	18.5
40.21	2.243	52.5
41.63	2.170	100.0
41.98	2.152	37.1
56.29	1.634	10.2
62.15	1.494	18.3
65.25	1.430	8.1
75.71	1.256	8.6
76.45	1.246	12.7
77.84	1.227	17.3
79.49	1.206	10.6

Atomic structure:
```
Na8B13C3
1.0
9.0017 -1.4300 0.0000